Dianne left a little bit ahead of the rest of us. I think it is probably her way of getting to spend a little time alone with Golden Fleece Falls or to get a little solitude or to just hurry us along. We used the extra time for fixing our feet and last minute photography. After I have taken my last photo and put my camera away I say a short goodbye to Fairyland. At that very moment I have no intention of ever returning. I am the last one out.
Here the page breaks off for data records >
~~~
(1)
Computed, not measured: a cluster of 2 separate species, C29H38O2P in total at a distorted geometry, with ωB97M-V/def2-TZVPD.

Results
* net charge: +1
* LUMO: -0.18209 hartree
* energy relative to the best compared isomer or geometry (same formula, charge and spin): 2.6 kcal/mol
* gap between HOMO and LUMO: 5.950 eV
* calculated total energy: -44065.4631 eV

Atoms and positions in Å:
C: -1.629 -1.508 -4.892
C: -1.518 -1.512 -3.365
C: -2.879 -1.726 -2.695
P: -0.573 -0.015 -2.769
C: 1.005 -0.262 -3.756
C: 1.509 -1.710 -3.743
C: 2.096 0.731 -3.346
C: -1.290 1.370 -3.819
C: -0.625 2.716 -3.515
C: -2.816 1.456 -3.779
H: -2.118 -2.436 -5.214
H: -2.248 -0.673 -5.241
H: -0.653 -1.463 -5.391
H: -0.871 -2.347 -3.042
H: -3.294 -2.681 -3.046
H: -2.795 -1.787 -1.604
H: -3.599 -0.945 -2.958
H: 0.711 -0.016 -4.792
H: 2.489 -1.724 -4.239
H: 1.619 -2.104 -2.721
H: 0.856 -2.382 -4.314
H: 3.047 0.395 -3.781
H: 1.906 1.731 -3.749
H: 2.206 0.804 -2.255
H: -0.994 1.085 -4.844
H: -1.215 3.509 -3.991
H: -0.562 2.922 -2.437
H: 0.380 2.777 -3.948
H: -3.110 2.391 -4.276
H: -3.304 0.650 -4.338
H: -3.213 1.470 -2.754
C: 1.421 6.594 2.668
O: 0.366 6.103 1.814
C: 0.333 4.786 1.494
C: -0.768 4.362 0.699
C: -0.885 3.051 0.310
C: 0.059 2.051 0.697
C: -0.103 0.694 0.294
C: 0.227 -0.404 1.138
C: 0.123 -1.746 0.653
C: 0.546 -2.822 1.408
C: 1.044 -2.633 2.710
O: 1.481 -3.767 3.391
C: 1.083 -4.046 4.715
C: 0.180 -5.097 4.894
C: -0.354 -5.321 6.159
C: 0.083 -4.560 7.248
C: 1.068 -3.586 7.071
C: 1.577 -3.317 5.798
C: 1.081 -1.343 3.264
C: 0.652 -0.273 2.491
C: 1.175 2.512 1.466
C: 1.294 3.830 1.897
H: 1.264 7.676 2.693
H: 1.339 6.175 3.682
H: 2.413 6.364 2.251
H: -1.502 5.119 0.408
H: -1.714 2.752 -0.332
H: -0.665 0.498 -0.633
H: -0.264 -1.911 -0.354
H: 0.481 -3.844 1.021
H: -0.122 -5.688 4.033
H: -1.111 -6.096 6.286
H: -0.349 -4.737 8.235
H: 1.445 -3.022 7.921
H: 2.331 -2.553 5.640
H: 1.446 -1.189 4.279
H: 0.689 0.714 2.954
H: 1.991 1.834 1.699
H: 2.125 4.123 2.551

Cartesian forces (eV/Å) of the 2 atoms listed first:
-0.23 -0.49 -0.10
0.26 0.18 -0.06

Mulliken population analysis, charges in e, atoms 1 to 2: -1.67 0.59

---

(2)
Computed, not measured: a structure of composition C5H6LiO2V at a distorted geometry, with ωB97M-V/def2-TZVPD.

Results
* net charge: +2
* multiplicity: 5
* LUMO (spin up / spin down): -0.31593 / -0.31165 hartree
* energy relative to the best compared isomer or geometry (same formula, charge and spin): 93.8 kcal/mol
* gap between HOMO and LUMO (spin up / spin down): 5.251 / 6.977 eV
* calculated total energy: -35244.4256 eV

Atoms and positions in Å:
C: 0.578 -0.007 0.520
C: -0.250 -0.372 1.606
H: -0.936 0.351 2.058
H: 0.105 -1.226 2.193
O: 2.916 0.072 0.395
C: 1.755 -0.384 -0.043
V: 4.423 -0.535 0.758
H: 1.744 -0.886 -1.023
C: -1.027 -0.554 -0.234
C: -1.478 0.809 -0.676
O: -1.540 1.215 -1.826
Li: -1.888 2.755 -2.789
H: -1.567 -1.063 -1.069
H: -0.946 -1.629 0.003
H: -1.887 1.454 0.128

Cartesian forces (eV/Å) of the 2 atoms listed first:
~~~
The page goes on >
We find Dianne waiting for us on a fallen, burned log part way up the hill near Golden Fleece Falls. It is very clever of her to get some of the hill under her belt before we all return. This time I skip the boulders and it is a much superior route out of Fairyland. While others take a steeper route through the ferns, I elect to take a direct route through the ferns to get to the canyon wall and then follow that wall up.
Mark has left the rope at the last tie off point and it now needs to be carried back up the hill. Before I can say anything Dianne has volunteered and Mark is clipping her pack into the rope. Dianne scurries up the hill and under the hard-to-cross fallen Spruce. Since Mark left the webbing attached to the tree at the top Dianne doesn't have to worry about knots. She simply clips the carabineer onto the webbing. I cringe at the thought of getting under the Spruce. Although Laurie does bump her head and get a nasty scratch, the girls have no problem negotiating crawling under the tree, I unclip and go over the tree and then re-clip myself. At the very end of this section I take advantage of the rope and use it to pull myself along.
-- Records of molecules, as found in the file --
- - -
No. 1
C38H46IN5O5PYb | the ωB97M-V functional and the def2-TZVPD basis

Structure (ORCA input):
```
! RIJCOSX wB97M-V def2-TZVPD def2/J DEFGRID3
* xyz 2 2
Yb 1.514 -0.383 0.635
C 0.705 4.709 2.871
N 1.449 3.751 2.093
C 2.676 4.245 1.451
C 1.054 2.527 1.835
O 1.719 1.814 1.055
C -0.238 1.938 2.405
O -0.197 0.498 2.248
C -0.415 -0.313 3.405
C 0.858 -1.078 3.744
O 1.724 -1.148 2.857
N 0.995 -1.591 4.937
C 2.191 -2.341 5.299
C -0.012 -1.572 5.981
H 1.218 4.967 3.776
H -0.271 4.278 3.140
H 0.509 5.600 2.298
H 2.988 5.141 1.965
H 2.473 4.413 0.382
H 3.448 3.481 1.522
H -1.073 2.245 1.817
H -0.419 2.203 3.470
H -1.194 -1.036 3.151
H -0.715 0.320 4.244
H 3.064 -2.011 4.662
H 2.022 -3.405 5.165
H 2.427 -2.116 6.351
H -1.021 -1.233 5.589
H 0.289 -0.968 6.826
H -0.153 -2.608 6.284
N 3.600 -3.957 -0.634
C 3.264 -2.835 -0.027
O 2.069 -2.468 -0.007
C 4.299 -2.001 0.672
C 3.915 -0.529 0.741
H 2.928 -4.491 -1.125
H 4.546 -4.228 -0.703
H 5.304 -2.266 0.305
H 4.240 -2.367 1.727
H 4.503 0.016 -0.005
H 4.318 -0.163 1.694
I -0.615 -3.511 1.358
C -2.724 -3.463 1.498
C -3.261 -4.289 2.462
C -4.638 -4.511 2.530
C -5.444 -4.025 1.550
C -4.940 -3.198 0.530
C -5.771 -2.797 -0.551
C -5.290 -2.133 -1.609
C -3.943 -1.707 -1.597
C -3.105 -2.003 -0.539
P -1.447 -1.088 -0.582
C -2.063 0.632 -0.437
C -1.210 1.636 -0.856
C -1.523 2.960 -0.682
C -2.763 3.328 -0.105
C -3.592 2.324 0.334
C -3.260 0.974 0.190
C -0.998 -1.139 -2.358
C -0.049 -2.073 -2.718
C 0.328 -2.213 -4.058
C -0.276 -1.472 -5.059
C -1.169 -0.466 -4.671
C -1.550 -0.323 -3.356
C -3.558 -2.861 0.521
H -2.607 -4.739 3.195
H -5.034 -5.145 3.300
H -6.503 -4.319 1.486
H -6.820 -3.107 -0.520
H -5.991 -1.867 -2.426
H -3.554 -1.101 -2.420
H -0.267 1.385 -1.370
H -0.847 3.774 -1.005
H -3.034 4.382 -0.077
H -4.575 2.591 0.779
H -3.936 0.230 0.596
H 0.416 -2.709 -1.970
H 1.047 -2.973 -4.261
H -0.031 -1.618 -6.120
H -1.590 0.184 -5.445
H -2.210 0.489 -3.045
N 1.810 0.272 -1.607
C 1.989 0.975 -2.506
N 2.193 1.869 -3.443
C 3.498 2.594 -3.463
C 3.727 2.988 -4.919
O 2.689 3.801 -5.390
C 1.460 3.132 -5.406
C 1.045 2.629 -4.037
H 4.340 1.959 -3.100
H 3.402 3.476 -2.801
H 3.821 2.083 -5.526
H 4.610 3.591 -5.071
H 1.447 2.283 -6.112
H 0.709 3.831 -5.771
H 0.175 1.971 -4.068
H 0.878 3.473 -3.367
*
```

As for the gap between HOMO and LUMO (spin up / spin down): 8.4 / 8.4 eV. As for the expectation value of S²: 0.751. The calculation puts the total energy at -3922.98306 Eh. Its lowest unoccupied orbital energy (spin up / spin down) is -4.0 / -4.1 eV.

No. 2
C38H46NO2P2RhSSi | the ωB97M-V functional and the def2-TZVPD basis

Structure (ORCA input):
```
! RIJCOSX wB97M-V def2-TZVPD def2/J DEFGRID3
* xyz 2 5
Rh 1.583 -0.944 -1.404
C 0.301 -6.541 2.269
Si -0.791 -5.164 1.596
C -2.227 -4.832 2.782
C -1.446 -5.548 -0.120
C 0.284 -3.575 1.678
C 0.754 -3.195 2.938
C 1.617 -2.123 3.109
C 2.021 -1.420 1.988
N 1.569 -1.739 0.780
C 0.719 -2.770 0.617
S 0.264 -2.919 -1.069
H -0.254 -7.481 2.256
H 0.600 -6.351 3.301
H 1.206 -6.685 1.677
- - -
Finally Mark puts himself on belay and heads up towards us. When he passes the spruce I call out to him that Laurie and I are going to start heading up. I no sooner finish saying it than I stick the palm of my left hand into a very dry stinging nettle on the canyon wall. I now have a hundred small needles in the fleshy part of my hand. I head off and start pulling them out. There just isn't enough room for all of us in this spot.
It was bad going down and it is worse going up. I do not remember the way down from the Promontory being this steep. We struggle around fallen trees and through areas where the going is almost easier using both hands and feet to drag ourselves up. Finally we are at the Promontory. We take a quick water break and head on. We need to make good time getting out of here. I stop ever so briefly at a promontory above the Promontory to search for a watch that I lost here in 2005-my beloved Winnie-The-Pooh watch that my staff gave to me 12 or more years ago. It's gone. Somewhere there is a grizzly who will know exactly what time he has entered his den.
We continue up the steep grade, through the areas where the footing is tricky. Sometimes we slide back. Sometimes I look up and despair. Each time some kind of a plateau is reached there is another hill to be climbed. Finally all the steep hills have been ascended and we have a more regular terrain. Now we can begin to make some good time. The clouds are a bit frightening and we worry that we will be rained on once again. In 2005 we were rained on for hours, soaked to the skin and hypothermic by the time we returned to camp. As a result Mark and Lori have new rain gear. So do I. Laurie wasn't with us in 2005 but I insisted that she bring her very best waterproof gear.
When we get near the meadow area again we stop long enough to pull our rain gear on and find head lamps. Away we go again. In the forests of the Mirror Plateau darks falls upon us quickly. In the twilight all stumps become grizzlies. Mark makes a course adjustment to swing up back onto the very line from which we left Coffee Pot.
"Gary," he calls, "we need to take a hard left-nearly 90 degrees."
And within 50 yards or so we are finally back to the thermal areas of Coffee Pot. It is like being home again. I am pushed out front to take the full blame for any mistakes that might be made in walking into a thermal. If Laurie and I find a hole, we call it out and point to it with our hiking poles. Finally we can hear the roaring of the big hot springs at Coffee Pot. The worst is over.